Elizabeth Budd

Profile picture of Elizabeth Budd
Evergreen Associate Professor
College of Education, Family and Human Services, Prevention Science
Phone: 541-346-2173
Office: 357 HEDCO Education Bldg
Research Interests: public health, health promotion, health equity, health disparities, weight stigma, weight-based discrimination, youth/adolescents, Latinx, physical activity, healthy eating, chronic disease prevention, built environment, policy, neighborhoods, schools


PhD, 2016, Washington University in St. Louis, Brown School of Social Work and Public Health, St. Louis, MO

Major: Social Work with a Public Health focus

MPH, 2009, St. Louis University, College for Public Health and Social Justice, St. Louis, MO

Major: Behavioral Science and Health Education

BS, 2005, Santa Clara University, Santa Clara, CA

Majors: Sociology and Spanish Studies


Approximately, 88% of deaths in the United States can be attributed to chronic diseases, such as type 2 diabetes and heart disease. The odds of developing a chronic disease are primarily determined by a combination of one’s genetics, health behaviors, and characteristics of the environments in which people live. Dr. Budd examines the 1) policies and 2) environmental factors that influence physical activity and eating, primarily among youth and Latinx communities; and 3) investigates factors associated with the dissemination and implementation of evidence-based interventions to prevent chronic diseases and promote population-level health equity.


Select Publications:

Budd, E. L., De Anda, S., Halvorson, S., Leve, L. D., Mauricio, A. M., McWhirter, E. H., … & DeGarmo, D. S. (2025). Social determinants of health associated with SARS-CoV-2 testing and vaccine attitudes in a cross-sectional study of Latinx individuals in Oregon. American Journal of Preventive Medicine FOCUS. Manuscript in press.

Budd, E. L., Castro, E., Terral, H. F., Farley, Z. S., & Kelly, N. R. (2024). Systematic review of the evidence on physical activity prescriptions for youth. Preventive Medicine. 189(108145). https://doi.org/10.1016/j.ypmed.2024.108145.

Kelly, N. R., Osa, M. L., Luther, G., Guidinger, C., Folger, A., Williamson, G., Esquivel, J., & Budd, E. L. (2024). Preliminary evaluation of a brief worksite intervention to reduce weight stigma and weight bias internalization. Evaluation and Program Planning. 104(102434). https://doi.org/10.1016/j.evalprogplan.2024.102434.

Budd, E. L., McWhirter, E. H., De Anda, S., Mauricio, A. M., Mueller, M., Cioffi, C. C., …& Leve, L. D. (2022). Development and Design of a Culturally Tailored Intervention to Address COVID-19 Disparities Among Latinx Communities Across Oregon. Frontiers in Public Health, 10(962862), eCollection 2022. http:doi:10.3389/fpubh.2022.962862.

Budd, E. L., Giuliani, N. R., & Kelly, N. R. (2021). Perceived neighborhood safety moderates the association between racial discrimination stress and chronic health conditions among Hispanic/Latino adults. Frontiers in Public Health, 9(585157). https://doi:10.3389/fpubh.2021.585157.

-- Data records, as found in the file --
- - -
{"formula": "C2H2NO3", "method": "ωB97M-V/def2-TZVPD", "smiles": "O=C([O-])[C@H]1NO1", "e_above_lowest_kcal_mol": 91.9, "gap_ev": 8.33, "charge": -1, "elements": ["C", "C", "N", "O", "O", "O", "H", "H"], "xyz": [[0.53, -1.04, -0.56], [-0.39, 0.09, 0.07], [0.26, 1.24, 0.56], [0.82, -1.88, 0.28], [0.96, -0.91, -1.68], [-0.50, 1.26, -0.66], [-1.35, -0.24, 0.62], [-0.34, 1.48, 1.36]]}

{"formula": "C2H2NO3", "method": "ωB97M-V/def2-TZVPD", "e_above_lowest_kcal_mol": 31.9, "gap_ev": 9.13, "charge": -1, "elements": ["O", "C", "N", "C", "O", "O", "H", "H"], "xyz": [[-2.17, -0.98, -0.50], [-0.92, -0.80, -0.23], [-0.44, 0.15, 0.53], [1.33, 0.62, 0.23], [2.09, -0.29, -0.10], [1.31, 1.84, 0.09], [-0.39, -1.72, -0.57], [-0.81, 1.18, 0.56]]}

{"formula": "C2H2NO3P", "method": "ωB97M-V/def2-TZVPD", "e_above_lowest_kcal_mol": 7.2, "gap_ev": 7.89, "charge": -2, "elements": ["C", "C", "N", "O", "O", "O", "P", "H", "H"], "xyz": [[-1.78, -1.18, 1.59], [0.56, -0.32, -0.28], [-2.44, -1.18, 2.60], [3.29, -0.76, -0.52], [2.19, 0.54, -2.42], [1.23, 0.86, 0.00], [2.12, -0.05, -1.05], [0.49, -0.84, 0.63], [-0.24, -0.16, -0.93]]}

{"formula": "C2H2NO4", "method": "ωB97M-V/def2-TZVPD", "e_above_lowest_kcal_mol": 117.7, "gap_ev": [5.67, 6.71], "charge": -1, "elements": ["C", "C", "N", "O", "O", "O", "O", "H", "H"], "xyz": [[-0.26, 0.06, 0.85], [0.63, -0.57, -0.09], [-2.43, 0.63, -0.45], [-1.34, 0.95, -0.81], [-1.32, -0.41, 1.29], [0.54, -1.64, -0.68], [1.78, 0.20, -0.32], [0.13, 1.04, 1.21], [2.28, -0.26, -1.01]]}

{"formula": "C2H2NO4S2", "method": "ωB97M-V/def2-TZVPD", "e_above_lowest_kcal_mol": 69.6, "gap_ev": [6.83, 6.83], "charge": -1, "elements": ["C", "C", "N", "O", "O", "O", "O", "S", "S", "H", "H"], "xyz": [[-2.54, -0.52, 0.21], [2.11, -0.23, 0.24], [0.31, -1.08, 0.69], [-2.60, 0.29, -0.63], [-2.70, -1.29, 1.04], [-0.21, -1.43, -0.53], [-0.35, 0.07, 1.14], [2.16, 1.38, 0.39], [3.14, -1.42, 0.00], [0.24, 0.70, 1.61], [-0.37, -0.60, -1.00]]}

{"formula": "C2H2O2", "method": "ωB97M-V/def2-TZVPD", "e_above_lowest_kcal_mol": 54.7, "gap_ev": 9.61, "charge": 0, "elements": ["O", "C", "C", "O", "H", "H"], "xyz": [[0.23, 1.30, -1.31], [-0.23, 0.84, -0.32], [0.00, -1.16, 0.29], [0.56, 0.00, 0.53], [-1.25, 0.94, 0.08], [0.69, -1.91, 0.73]]}

{"formula": "C2H2O2P", "method": "ωB97M-V/def2-TZVPD", "spin_multiplicity": 3, "e_above_lowest_kcal_mol": 24.1, "gap_ev": [5.59, 5.98], "charge": -1, "elements": ["C", "C", "O", "O", "P", "H", "H"], "xyz": [[0.34, 0.17, -0.41], [-1.51, -0.30, 0.35], [-1.37, -1.29, 1.02], [-2.38, 0.47, 0.02], [1.53, 0.52, 0.69], [0.62, -0.09, -1.56], [2.78, 0.52, -0.10]]}

{"formula": "C2H2O2Ru", "method": "ωB97M-V/def2-TZVPD", "spin_multiplicity": 7, "e_above_lowest_kcal_mol": 89.6, "gap_ev": [9.41, 7.05], "charge": 2, "elements": ["C", "C", "O", "Ru", "H", "O", "H"], "xyz": [[0.14, 0.23, 0.97], [-0.68, -0.75, 0.78], [-0.68, -0.98, -1.38], [0.53, 0.36, -1.95], [-1.29, -1.45, 1.34], [0.82, 0.87, -0.03], [1.17, 1.72, 0.26]]}
- - -

Budd, E. L., Franz, D. J., Kelly, N. R., & Giuliani, N. R. (2020). Oregon parents’ perceptions of the supportiveness of the school environment for their children’s health behaviors. Journal of Nutrition Education and Behavior, S1499-4046(20), 30056-7. https://doi.org/10.1016/j.jneb.2020.02.004

Budd, E. L., Liévanos, R. S., & Amidon, B. (2020). Open campus policies: How built, food, social, and organizational environments matter for Oregon public high school students. International Journal of Environmental Research and Public Health, 17(2), 469. https://doi.org/10.3390/ijerph17020469


Dr. Budd will be accepting new PhD students in Prevention Science but will not be accepting new PhD students in Counseling Psychology for the 2025-2026 academic year.

Dr. Liz Budd (she/her/hers) is an Evergreen Associate Professor situated within the College of Education, Counseling Psychology and Human Services Department, and affiliated with the Family and Human Services and Prevention Science programs. Dr. Budd is also a member of the Health Promotion Initiative and Prevention Science Institute. Nationally, Dr. Budd holds leadership roles in the Physical Activity Section of the American Public Health Association.

Dr. Budd’s teaching and research interests are centrally located in the field of public health, but are transdisciplinary in nature, reflective of her training. The goal of her research is to prevent the onset of chronic diseases, especially among groups with heightened risk, to achieve population-level health equity. Specifically, she examines the policies and environmental factors (social and physical) that influence physical activity and eating habits. She has a particular interest in youth, adolescent girls, and Latino/a/e/x communities. Dr. Budd also works to implement, evaluate, and foster the sustainability of evidence-based interventions to promote healthy behaviors in community settings.

Dr. Budd enjoys weaving her research into her teaching of Contemporary Issues in Public Health and Transdisciplinary Problem-Solving in Public Health, often employing standing ovations and other physical activity breaks throughout class. Dr. Budd grew up in Oregon, but completed most of her training in St. Louis, Missouri. She encourages undergraduate and graduate students to reach out to her if they are interested in gaining research experience.

I am committed to inclusive research and teaching. The ultimate goal of my research is to move us closer to the elimination of health disparities. For example, some of my recent collaborative research has involved developing and disseminating a training to reduce body size bias and discrimination in workplace settings and to reduce body size bias internalization. Related to teaching, my undergraduate and graduate public health courses aim to prepare students to work alongside community members in assessing and addressing priority community health problems to advance health equity. As a mentor, I use a team-based approach to support our academic, professional, and emotional development through our unique but interconnected learning journeys. For instance, my research team meets bi-monthly to share project updates, exchange feedback, and encourage each other. To that end, my research team and I love working with McNair Scholars and aim to advise 1-2 scholars each year. My transdisciplinary, collaborative approach to research, teaching, and mentorship reflects my belief that we are more effective at problem-solving when we strive to understand diverse perspectives and work together toward a common goal.

Meet Dr. Elizabeth Budd

Or read more about Elizabeth Budd

Dr. Budd in a COE Research Briefly

Dr. Budd on KLCC

Dr. Budd's research team in the Oregon Quarterly